Wanted >
Your job: transcribe the lines below up to the one that holds "4.2924", that line included.

Material >
Entry 1:
C42H64BIN8Pd | the ωB97M-V functional and the def2-TZVPD basis

Last column: Löwdin spin population.
Element x y z (Å)
Pd 0.0542 0.5778 -0.6068  1.117
C 1.0251 4.7883 -1.3877  0.001
N 0.9609 3.7214 -2.3837  0.008
C -0.1951 3.8332 -3.2147  0.000
C 1.7461 2.5855 -2.3305  0.013
N 1.1917 1.3278 -2.2435  0.057
C 1.2956 0.5432 -3.3646  0.003
C 2.1303 0.7351 -4.4663  0.004
C 2.1591 -0.2691 -5.4883  0.003
C 1.5448 -1.5269 -5.3253  0.003
C 0.7308 -1.6909 -4.1885  0.005
C 0.4845 -0.6306 -3.2879  0.006
N -0.4482 -0.7832 -2.2804  0.101
C -1.6956 -1.3125 -2.5611  0.015
N -2.3998 -1.0022 -3.6677  0.009
C -2.4220 0.3572 -4.2407  0.001
C -2.8624 -1.9937 -4.6687  0.001
N -2.2851 -2.1025 -1.6521  0.005
C -1.6734 -2.4399 -0.3845  0.001
C -3.5429 -2.8061 -1.8356  0.001
N 3.1042 2.7467 -2.1473  0.008
C 3.7796 3.9516 -2.7422  0.001
C 3.9142 1.5848 -1.8855  0.000
H 0.0501 4.8516 -0.8858  0.000
H 1.2527 5.7148 -1.9141  0.000
H 1.8957 4.7018 -0.6829  0.000
H -1.1405 3.7865 -2.6531  0.000
H -0.1772 3.0007 -3.9780  0.000
H -0.0679 4.7968 -3.8256  0.000
H 2.7501 1.6465 -4.5662  0.000
H 2.6919 -0.0535 -6.4354  0.000
H 1.8328 -2.3499 -6.0052  0.000
H 0.2069 -2.6275 -3.9728  0.000
H -1.9617 1.0386 -3.4810  0.000
H -3.4912 0.6468 -4.4209  0.001
H -1.7322 0.4470 -5.1262  0.000
H -2.8572 -2.9821 -4.2512  0.000
H -2.1264 -1.9899 -5.5012  0.000
H -3.8757 -1.7411 -5.0087  0.000
H -0.5822 -2.5909 -0.5101  0.001
H -2.0202 -3.3565 0.0556  0.000
H -1.8134 -1.5823 0.3187  0.000
H -4.0564 -2.3893 -2.6898  0.000
H -4.1120 -2.6945 -0.9002  0.000
H -3.4364 -3.9420 -2.0420  0.000
H 3.0431 4.6819 -3.1390  0.000
H 4.4558 3.5601 -3.5067  0.000
H 4.4226 4.4431 -1.9262  0.000
H 3.3936 0.9377 -1.1711  0.001
H 4.8477 1.9122 -1.4504  0.000
H 4.1430 0.9657 -2.7543  0.000
I -2.5458 1.3114 -0.5183  0.258
C 4.4994 -0.2217 2.7523  0.001
C 3.6601 0.0901 1.4871  0.002
C 2.8598 1.3252 1.7126  0.027
C 2.9910 -1.2294 1.0061  0.007
C 3.8518 -1.9348 0.0813  0.003
C 3.5418 -3.1787 -0.3768  -0.001
C 2.3909 -3.8195 0.1539  0.002
C 1.6410 -3.2382 1.1824  0.000
C 0.7756 -4.1427 1.9877  0.000
C 0.1219 -5.2196 1.1362  0.000
C 1.3962 -4.8158 3.2164  0.000
C 1.8537 -1.8727 1.5366  0.013
N 0.9108 -1.0731 2.1463  0.032
B -0.0024 0.0253 1.5672  0.189
N -1.0248 0.1884 2.6004  0.021
C -0.8056 -0.7525 3.6661  0.006
C 0.3351 -1.4073 3.3849  0.006
C -2.0686 1.1706 2.6036  0.004
C -1.7901 2.5303 2.4191  0.002
C -2.8140 3.4097 2.0291  0.001
C -4.0920 3.0126 2.2460  0.005
C -4.4452 1.6747 2.5802  0.002
C -3.4313 0.7137 2.6909  0.001
C -3.7771 -0.7802 2.7332  0.000
C -4.1663 -1.2912 4.1451  0.000
C -4.8937 -1.1271 1.7154  0.000
C -0.4004 3.0162 2.7757  0.008
C -0.0942 2.7259 4.2924  0.001
C -0.0774 4.5143 2.3672  0.000
H 4.9493 0.6518 3.2173  0.000
H 5.3420 -0.8827 2.4588  0.000
H 3.8768 -0.7456 3.5187  0.000
H 4.3958 0.3606 0.6591  0.000
H 2.1645 1.2511 2.6108  0.001
H 2.2144 1.5968 0.8315  0.023
H 3.4894 2.2457 1.8436  0.001
H 4.7386 -1.4162 -0.2962  0.000
H 4.1189 -3.7249 -1.1281  0.000
H 2.1302 -4.8422 -0.1175  0.000
H -0.0770 -3.5517 2.3938  0.000
H 0.8577 -6.0477 0.9829  0.000
H -0.1979 -4.8684 0.1350  0.000
H -0.7067 -5.7024 1.6616  0.000
H 2.1826 -5.4679 2.8817  0.000
H 0.6755 -5.4294 3.7066  0.000
H 1.8362 -4.1008 3.9537  0.000
H -1.4823 -0.9037 4.4997  0.001
H 0.8657 -2.1400 3.9764  0.001
H -2.6369 4.4393 1.6218  0.000
H -4.8772 3.7404 1.9668  0.000
H -5.4917 1.4354 2.8146  0.000
H -2.8693 -1.3416 2.4656  0.000
H -5.0097 -0.7617 4.5078  0.000
H -3.3304 -1.1809 4.8818  0.000
H -4.4839 -2.3671 4.0926  0.000
H -5.9257 -0.8483 2.0307  0.000
H -4.8852 -2.2489 1.6010  0.000
H -4.6550 -0.7141 0.7032  0.002
H 0.3779 2.4440 2.1757  0.009
H -0.9396 3.0836 4.8965  0.000
H 0.8222 3.1993 4.6477  0.000
H -0.0330 1.6268 4.4678  0.000
H -0.4691 5.1899 3.1023  0.000
H -0.4943 4.7804 1.3764  0.000
H 0.9946 4.6094 2.3150  0.000

Forces on atoms 1 to 3 (eV/Å):
Pd -0.55 -0.23 1.17
C 1.43 0.25 0.00
N 1.38 -0.87 1.15

Summary:
Strongest force on any atom = 3.8 eV/Å

Written answer >
Entry 1:
C42H64BIN8Pd | the ωB97M-V functional and the def2-TZVPD basis

Last column: Löwdin spin population.
Element x y z (Å)
Pd 0.0542 0.5778 -0.6068  1.117
C 1.0251 4.7883 -1.3877  0.001
N 0.9609 3.7214 -2.3837  0.008
C -0.1951 3.8332 -3.2147  0.000
C 1.7461 2.5855 -2.3305  0.013
N 1.1917 1.3278 -2.2435  0.057
C 1.2956 0.5432 -3.3646  0.003
C 2.1303 0.7351 -4.4663  0.004
C 2.1591 -0.2691 -5.4883  0.003
C 1.5448 -1.5269 -5.3253  0.003
C 0.7308 -1.6909 -4.1885  0.005
C 0.4845 -0.6306 -3.2879  0.006
N -0.4482 -0.7832 -2.2804  0.101
C -1.6956 -1.3125 -2.5611  0.015
N -2.3998 -1.0022 -3.6677  0.009
C -2.4220 0.3572 -4.2407  0.001
C -2.8624 -1.9937 -4.6687  0.001
N -2.2851 -2.1025 -1.6521  0.005
C -1.6734 -2.4399 -0.3845  0.001
C -3.5429 -2.8061 -1.8356  0.001
N 3.1042 2.7467 -2.1473  0.008
C 3.7796 3.9516 -2.7422  0.001
C 3.9142 1.5848 -1.8855  0.000
H 0.0501 4.8516 -0.8858  0.000
H 1.2527 5.7148 -1.9141  0.000
H 1.8957 4.7018 -0.6829  0.000
H -1.1405 3.7865 -2.6531  0.000
H -0.1772 3.0007 -3.9780  0.000
H -0.0679 4.7968 -3.8256  0.000
H 2.7501 1.6465 -4.5662  0.000
H 2.6919 -0.0535 -6.4354  0.000
H 1.8328 -2.3499 -6.0052  0.000
H 0.2069 -2.6275 -3.9728  0.000
H -1.9617 1.0386 -3.4810  0.000
H -3.4912 0.6468 -4.4209  0.001
H -1.7322 0.4470 -5.1262  0.000
H -2.8572 -2.9821 -4.2512  0.000
H -2.1264 -1.9899 -5.5012  0.000
H -3.8757 -1.7411 -5.0087  0.000
H -0.5822 -2.5909 -0.5101  0.001
H -2.0202 -3.3565 0.0556  0.000
H -1.8134 -1.5823 0.3187  0.000
H -4.0564 -2.3893 -2.6898  0.000
H -4.1120 -2.6945 -0.9002  0.000
H -3.4364 -3.9420 -2.0420  0.000
H 3.0431 4.6819 -3.1390  0.000
H 4.4558 3.5601 -3.5067  0.000
H 4.4226 4.4431 -1.9262  0.000
H 3.3936 0.9377 -1.1711  0.001
H 4.8477 1.9122 -1.4504  0.000
H 4.1430 0.9657 -2.7543  0.000
I -2.5458 1.3114 -0.5183  0.258
C 4.4994 -0.2217 2.7523  0.001
C 3.6601 0.0901 1.4871  0.002
C 2.8598 1.3252 1.7126  0.027
C 2.9910 -1.2294 1.0061  0.007
C 3.8518 -1.9348 0.0813  0.003
C 3.5418 -3.1787 -0.3768  -0.001
C 2.3909 -3.8195 0.1539  0.002
C 1.6410 -3.2382 1.1824  0.000
C 0.7756 -4.1427 1.9877  0.000
C 0.1219 -5.2196 1.1362  0.000
C 1.3962 -4.8158 3.2164  0.000
C 1.8537 -1.8727 1.5366  0.013
N 0.9108 -1.0731 2.1463  0.032
B -0.0024 0.0253 1.5672  0.189
N -1.0248 0.1884 2.6004  0.021
C -0.8056 -0.7525 3.6661  0.006
C 0.3351 -1.4073 3.3849  0.006
C -2.0686 1.1706 2.6036  0.004
C -1.7901 2.5303 2.4191  0.002
C -2.8140 3.4097 2.0291  0.001
C -4.0920 3.0126 2.2460  0.005
C -4.4452 1.6747 2.5802  0.002
C -3.4313 0.7137 2.6909  0.001
C -3.7771 -0.7802 2.7332  0.000
C -4.1663 -1.2912 4.1451  0.000
C -4.8937 -1.1271 1.7154  0.000
C -0.4004 3.0162 2.7757  0.008
C -0.0942 2.7259 4.2924  0.001